You will learn how to configure pfSense as a firewall and create and manage firewall rules. pfSense is capable of working with multiple ISP connections and provide you this redundancy. You will learn to configure and test pfSense for failover and load balancing across multiple WAN connections.

Firewall: Rules: WAN = none for SIP or RTP. Firewall: NAT: Port Forward = none. Firewall: NAT: Outbound = Manual Outbound NAT, using default rule with NO Static Port mapping. Reboot the pfsense machine. UPDATE: siproxd is not necessary for multiple sip registrations to work! The above should be adequate. How to define firewall rules on pFSense | IT Blog Smart idea would be to disable default ALLOW ALL traffic rules– you should remove default LAN firewall rules created by pFSense and define only ports you would like to use – only that way you can block unwanted traffic and better control your LAN-> WAN traffic. Here is … Troubleshooting Port Forwards — pfSense Documentation Port forwards do not work internally unless NAT reflection has been enabled. Always test port forwards from outside the network, such as from a system in another location, or from a 3G/4G device. Edit the firewall rule that passes traffic for the NAT entry and enable logging. Save and Apply Changes. Then try to access it again from the outside.

Nov 03, 2015

-- Inserted here: materials data --
........
Here is crystalline TbNd2Zn9 at its relaxed geometry from the Alexandria database. Energies are from PBE.

abc: 9.3055 9.3055 9.3055
angles: 34.34 34.34 34.34
Atoms (fractional coordinates):
Tb 0.0000 0.0000 0.0000
Nd 0.1403 0.1403 0.1403
Nd 0.8597 0.8597 0.8597
Zn 0.0767 0.5822 0.5822
Zn 0.3347 0.3347 0.3347
Zn 0.4178 0.4178 0.9233
Zn 0.4178 0.9233 0.4178
Zn 0.5000 0.5000 0.5000
Zn 0.5822 0.0767 0.5822
Zn 0.5822 0.5822 0.0767
Zn 0.6653 0.6653 0.6653
Zn 0.9233 0.4178 0.4178

VASP energy: -0.089 hartree per atom
Spin magnetization: 0.00 μB/cell
Space group: No. 166
ΔE_f: -293 meV per atom

~~~~~

(1)
A plane-wave DFT calculation with PBE-GGA was carried out for a relaxed structure of AcScMo.

As for the formation energy: 0.65 eV per atom.

Cell lengths 6.830, 6.830, 6.830 Å; angles 90.00, 90.00, 90.00 degrees
Space group F-43m (No. 216)
Inequivalent atoms, fractional coordinates:
1 Ac 0.000 0.000 0.000 [4 per cell]
2 Sc 0.000 0.000 0.500 [4 per cell]
3 Mo 0.250 0.250 0.250 [4 per cell]



(2)
A plane-wave DFT calculation with PBE-GGA was carried out for a relaxed structure of LiSiNi2.

The total energy comes out at -4.943 eV/atom.

Cell lengths 3.9327, 3.9327, 6.9087 Å; angles 90.00, 90.00, 120.00 degrees
Space group P6_3/mmc (No. 194)
Inequivalent atoms, fractional coordinates:
1 Li 0.0000 0.0000 0.0000 [2 per cell]
2 Si 0.3333 0.6667 0.2500 [2 per cell]
3 Ni 0.3333 0.6667 0.5851 [4 per cell]



(3)
A plane-wave DFT calculation with PBE-GGA was carried out for a relaxed structure of PrGe3Pt4.

The total energy comes out at -5.946 eV/atom.

Cell lengths 5.530, 4.032, 7.164 Å; angles 90.00, 98.46, 90.00 degrees
Space group Pm (No. 6)
Inequivalent atoms, fractional coordinates:
1 Pr 0.000 0.000 0.000 [1 per cell]
2 Ge 0.332 0.000 0.559 [1 per cell]
3 Ge 0.460 0.500 0.980 [1 per cell]
4 Ge 0.820 0.500 0.366 [1 per cell]
5 Pt 0.132 0.500 0.703 [1 per cell]
6 Pt 0.261 0.500 0.318 [1 per cell]
7 Pt 0.556 0.000 0.188 [1 per cell]
8 Pt 0.786 0.000 0.577 [1 per cell]



Computed values of mass density (unit: g cm⁻³) for the preceding records, in sequence: 7.7, 5.5, 12.0.
........

Troubleshooting Network Connectivity — pfSense Documentation Not allowing UDP would make DNS fail, among other things. Similarly, on a DNS rule, using UDP only and not TCP/UDP will cause larger queries to fail. Not allowing ICMP would cause ping to fail, but other protocols may work; Not allowing TCP would cause HTTP, HTTPS, and other protocols to fail. Guide on How to Configure pfSense for 3CX Phone System

-- Records of crystals that have nothing to do with the piece --
- - -
Computed, not measured: a relaxed SrAlGa3Ir crystal at the PBE level of DFT.

- magnetic moment (μB/atom) = 0.00
- ΔE to the lowest computed polymorph (eV per atom) = 0.000

Cell lengths 7.917, 4.118, 7.309 Å; angles 90.00, 90.00, 90.00 degrees
Fractional positions:
Sr 0.250 0.000 0.113
Sr 0.750 0.000 0.887
Al 0.000 0.000 0.500
Al 0.500 0.000 0.500
Ga 0.064 0.500 0.794
Ga 0.250 0.500 0.444
Ga 0.436 0.500 0.794
Ga 0.564 0.500 0.206
Ga 0.750 0.500 0.556
Ga 0.936 0.500 0.206
Ir 0.250 0.000 0.683
Ir 0.750 0.000 0.317


No. 1
The following is a GGA-PBE calculation of a relaxed structure of DyHoMg2, from the Alexandria database.

Cell and atoms, written as POSCAR:
```
DyHoMg2
1.0
3.750 0.000 0.000
0.000 5.370 0.000
0.000 0.000 5.370
Dy Mg Ho
1 2 1
Direct
0.500 0.000 0.000
0.000 0.000 0.500
0.000 0.500 0.000
0.500 0.500 0.500
```

Values from the calculation:
Final energy = -12.7 eV/f.u.
Total magnetization = 0.0 μB/f.u.
Space group = P4/mmm, No. 123
Volume = 108.2 Å³/cell



No. 2
The following is a GGA-PBE calculation of a relaxed structure of MnP2Ru, from the Alexandria database.

Cell and atoms, written as POSCAR:
```
MnP2Ru
1.0
4.075 0.000 0.000
0.000 4.061 0.000
0.000 0.000 2.878
Ru Mn P
1 1 2
Direct
0.500 0.000 0.500
0.000 0.500 0.500
0.500 0.500 0.000
0.000 0.000 0.000
```

Values from the calculation:
Total magnetization = 0.0 μB/f.u.
Space group = Pmmm, No. 47
Energy above the lowest structure with this stoichiometry = 162 meV per atom
Volume = 47.6 Å³/cell



No. 3
The following is a GGA-PBE calculation of a relaxed structure of ZrAlOs2, from the Alexandria database.

Cell and atoms, written as POSCAR:
```
ZrAlOs2
1.0
-3.582 6.808 -4.416
-5.933 5.882 -2.980
-4.066 7.700 -1.692
Os Al Zr
2 1 1
Direct
0.494 0.494 0.494
0.006 0.006 0.006
0.750 0.750 0.750
0.250 0.250 0.250
```

Values from the calculation:
Final energy = -34.8 eV/f.u.
Total magnetization = 0.0 μB/f.u.
Space group = R-3m, No. 166
Volume = 63.7 Å³/cell



No. 4
The following is a GGA-PBE calculation of a relaxed structure of K2IrRh, from the Alexandria database.

Cell and atoms, written as POSCAR:
```
K2IrRh
1.0
4.040 0.000 0.000
0.000 2.890 -0.004
0.000 0.971 9.910
Ir Rh K
1 1 2
Direct
0.500 0.865 0.662
0.000 0.390 0.589
0.000 0.275 0.906
0.500 0.970 0.344
```

Values from the calculation:
Total magnetization = 0.0 μB/f.u.
Space group = Pm, No. 6
Energy above the lowest structure with this stoichiometry = 0 meV per atom
Volume = 115.7 Å³/cell



No. 5
The following is a GGA-PBE calculation of a relaxed structure of KTiZn2Cr, from the Alexandria database.

Cell and atoms, written as POSCAR:
```
KTiZn2Cr
1.0
-3.816 3.551 -0.700
0.033 -0.844 -4.461
-3.619 -3.755 0.684
K Cr Zn Ti
1 1 2 1
Direct
0.500 0.500 0.500
0.000 0.500 0.000
0.500 0.000 0.000
0.000 0.000 0.500
0.000 0.000 0.000
```

Values from the calculation:
Final energy = -17.4 eV/f.u.
Total magnetization = 1.6 μB/f.u.
Space group = P4/mmm, No. 123
Volume = 125.6 Å³/cell



No. 6
- - -

To allow traffic in from the Internet, a firewall rule must be added on the associated WAN interface allowing the desired traffic, using the destination IP of the internal private IP. All of the 1:1 NAT mappings are listed in the pfSense® webGUI under Firewall > NAT , on …

What comes next are crystal structures, not part of the page:
Material: Lu2ZrSb
Method: DFT, PBE-GGA
State: optimized geometry

Results
As for the crystal system: tetragonal. The value obtained for the formation energy from raw total energies is -369 meV/atom.

Cell and atoms, written as CIF:
```
data_Lu2ZrSb
_cell_length_a 4.472
_cell_length_b 4.681
_cell_length_c 4.681
_cell_angle_alpha 90.00
_cell_angle_beta 90.00
_cell_angle_gamma 90.00
_symmetry_space_group_name_H-M 'P 1'
_symmetry_Int_Tables_number 1
_symmetry_space_group_name_Hall 'P 1'
loop_
_atom_site_label
_atom_site_type_symbol
_atom_site_fract_x
_atom_site_fract_y
_atom_site_fract_z
Zr1 Zr 0.500 0.500 0.500
Lu1 Lu 0.000 0.000 0.500
Lu2 Lu 0.000 0.500 0.000
Sb1 Sb 0.500 0.000 0.000
```


Material: Ac2PrOsN4
Method: DFT, PBE-GGA
State: optimized geometry

Results
As for the crystal system: orthorhombic. The value obtained for the formation energy from raw total energies is -603 meV/atom.

Cell and atoms, written as CIF:
```
data_Ac2PrOsN4
_cell_length_a 3.601
_cell_length_b 6.571
_cell_length_c 12.891
_cell_angle_alpha 90.00
_cell_angle_beta 90.00
_cell_angle_gamma 105.90
_symmetry_space_group_name_H-M 'P 1'
_symmetry_Int_Tables_number 1
_symmetry_space_group_name_Hall 'P 1'
loop_
_atom_site_label
_atom_site_type_symbol
_atom_site_fract_x
_atom_site_fract_y
_atom_site_fract_z
N1 N 0.408 0.816 0.750
N2 N 0.721 0.441 0.644
N3 N 0.279 0.559 0.356
N4 N 0.000 0.000 0.500
N5 N 0.000 0.000 0.000
N6 N 0.592 0.184 0.250
N7 N 0.721 0.441 0.856
N8 N 0.279 0.559 0.144
Ac1 Ac 0.367 0.735 0.958
Ac2 Ac 0.367 0.735 0.542
Ac3 Ac 0.633 0.265 0.458
Ac4 Ac 0.633 0.265 0.042
Os1 Os 0.843 0.686 0.750
Os2 Os 0.157 0.314 0.250
Pr1 Pr 0.125 0.250 0.750
Pr2 Pr 0.875 0.750 0.250
```


Material: Pr2Cd12Ag5
Method: DFT, PBE-GGA
State: optimized geometry

Results
As for the crystal system: trigonal. The calculated formation energy is -163 meV/atom.

Cell and atoms, written as CIF:
```
data_Pr2Cd12Ag5
_cell_length_a 7.564
_cell_length_b 7.564
_cell_length_c 7.564
_cell_angle_alpha 82.44
_cell_angle_beta 82.44
_cell_angle_gamma 82.44
_symmetry_space_group_name_H-M 'P 1'
_symmetry_Int_Tables_number 1
_symmetry_space_group_name_Hall 'P 1'
loop_
_atom_site_label
_atom_site_type_symbol
_atom_site_fract_x
_atom_site_fract_y
_atom_site_fract_z
Ag1 Ag 0.000 0.000 0.500
Ag2 Ag 0.104 0.104 0.104
Ag3 Ag 0.500 0.000 0.000
Ag4 Ag 0.000 0.500 0.000
Ag5 Ag 0.896 0.896 0.896
Cd1 Cd 0.296 0.000 0.704
Cd2 Cd 0.849 0.351 0.351
Cd3 Cd 0.704 0.000 0.296
Cd4 Cd 0.351 0.849 0.351
Cd5 Cd 0.000 0.704 0.296
Cd6 Cd 0.704 0.296 0.000
Cd7 Cd 0.649 0.151 0.649
Cd8 Cd 0.296 0.704 0.000
Cd9 Cd 0.351 0.351 0.849
Cd10 Cd 0.151 0.649 0.649
Cd11 Cd 0.649 0.649 0.151
Cd12 Cd 0.000 0.296 0.704
Pr1 Pr 0.335 0.335 0.335
Pr2 Pr 0.665 0.665 0.665
```


Material: La3ZnRu
Method: DFT, PBE-GGA
State: optimized geometry

Results
As for the crystal system: cubic. The calculated formation energy is -119 meV/atom.

Cell and atoms, written as CIF:
```
data_La3ZnRu
_cell_length_a 5.484
_cell_length_b 5.484
_cell_length_c 5.484
The crystal structures stop here:

The firewall’s state table maintains information on your open network connections. pfSense® CE is a stateful firewall, by default all rules are stateful.. Most firewalls lack the ability to finely control your state table. pfSense® CE has numerous features allowing granular control of your state table, thanks to the abilities of OpenBSD’s pf. firewall - pfsense: how to block internet for one client I Have a network at home with a PFSense Software firewall. There are about 2 PCs and 3 laptops that connect to the internet through this firewall. I would like to use the Firewall rules to block internet access for one of these devices on the network. The one that I want to block does have a static IP address assigned, and I also know its MAC Great Listed Sites Have Pfsense Firewall Rules Tutorial